(Contents)
+++
Entry 1:
C34H94N4O15S11 | wB97M-V/def2-TZVPD

Computed properties:
Energy: -7079.1852 Eh
Gap between HOMO and LUMO: 8.73 eV
Charge: 0
Max |F|: 0.05998 Eh/bohr

Last column: Löwdin charge in e.
Element x y z (Å)
C -1.77250 2.39752 1.55191  -0.53
H -3.43949 -0.85470 -3.19361  0.03
H 4.21556 0.29589 3.46020  0.06
H -7.00813 3.58911 1.42686  0.05
C 2.57425 2.82183 3.00253  -0.24
S 2.20932 2.98168 -2.41283  0.79
H -6.28320 2.02516 1.30496  0.09
H -3.95170 5.44097 -5.01121  0.04
H -5.49433 -2.75117 4.35380  0.02
C -5.11355 -2.07133 5.05927  -0.24
O 3.88771 -3.09072 2.13207  -0.57
H -1.94317 -3.04098 3.50089  -0.04
H 1.63413 -2.48973 0.90157  0.09
H -4.44736 -2.21312 -2.84146  0.06
S -4.02738 -0.76381 -0.85989  0.82
H 1.75513 5.10251 -3.58603  0.09
C 4.31388 0.76239 2.46537  -0.27
O 3.40891 2.87427 -3.25356  -0.53
H 7.13850 3.84262 -2.26163  0.06
C 1.16834 4.22760 -3.16812  -0.26
H -0.85034 -4.49953 -0.92875  0.04
H 1.62141 3.20525 2.63751  0.03
C -1.44622 2.02265 0.15978  0.01
H -3.32214 -2.58290 0.13972  0.00
S -0.20560 -1.22494 4.89884  0.79
C -0.63945 6.26424 -0.67442  -0.57
H 1.72492 -0.05265 5.67027  0.07
O -0.83153 -1.20967 6.24976  -0.54
H 4.59284 -6.07024 -3.34801  0.05
H 2.36052 -3.60238 -6.03016  0.07
H -2.02692 2.66700 -0.51228  0.07
C 6.32001 -3.99498 1.84439  -0.28
H 4.95818 -0.07384 -2.22781  0.09
O 6.47030 2.25257 0.44117  0.01
H 1.13701 -0.09679 -0.20911  0.09
S -3.64483 -1.51670 4.19170  0.81
O -4.31787 2.74250 -0.89559  -0.56
C 6.87654 3.86049 -1.23876  0.01
H -4.61983 5.61846 -3.30655  0.03
H -6.86649 1.53874 -0.93126  0.04
H -3.43964 3.49671 3.30436  0.08
H 5.68370 -5.30228 4.32751  0.09
C -1.98935 5.90106 -1.17092  0.00
S 4.78066 -3.95023 -2.11433  0.76
O 0.17367 6.87898 -1.35111  0.03
C -6.10033 3.12596 1.09529  -0.26
H 6.22886 -5.00287 1.44980  0.05
H 4.68761 -0.02300 1.79298  0.05
H 1.68328 6.44073 0.75166  0.09
C 0.87681 6.01205 1.35187  -0.05
H -2.74991 2.06105 4.16753  0.07
H -0.35093 2.04961 -0.04674  0.08
H 1.98169 -1.00161 4.14735  0.05
O 1.75421 0.74317 1.55819  -0.55
S -5.81601 3.97450 -4.75845  0.80
H 7.30576 -3.83935 2.30926  0.06
C -0.07102 -1.68392 -0.39575  -0.54
H 3.90625 -4.94433 4.39282  0.04
H 3.92048 -4.41958 -0.05718  0.04
C -4.32446 -2.28549 0.03600  -0.25
H 0.40940 1.00996 -2.08938  0.03
H 5.98215 -0.16811 -0.77032  0.09
H 5.78365 2.01457 -2.59853  0.10
C 4.72999 -5.04382 3.70997  -0.29
O -1.24077 3.29632 2.18636  0.02
C -4.61560 2.65798 -4.36900  -0.25
H 0.74263 6.47814 2.33320  0.09
H -4.80849 -3.03636 -0.69001  0.09
H -0.39923 1.17787 5.04687  0.09
H 1.63844 4.02046 -0.28075  0.05
H 2.90548 4.93824 -1.23542  0.08
N -2.95208 1.91763 2.06727  0.04
H -0.95595 5.22797 1.02582  0.08
C 4.62568 -5.76527 -2.30098  -0.23
C 6.45054 2.50552 -0.77212  -0.57
H -5.43633 6.22316 -4.63487  0.05
H 5.42368 -6.27313 -1.73292  0.07
S 2.95273 1.64079 1.77346  0.81
H -0.07509 -3.01885 1.31395  0.05
H -2.27048 -3.28594 5.07992  0.05
H 3.40201 -4.34047 -4.75286  0.02
H -4.16719 2.86011 -3.40758  0.02
O -5.90689 4.06099 -6.22559  -0.55
H 4.60981 -5.87779 2.97564  0.07
S -5.60820 3.41467 -0.58675  0.79
C -4.76682 5.40071 -4.34308  -0.24
H -7.77883 3.16519 -1.20540  0.04
H -5.21518 3.44784 1.63508  0.02
H -5.00433 -2.58655 6.06413  0.09
H 0.68272 3.79807 -4.06383  0.05
O -5.36854 -0.12286 -0.91074  -0.56
H 3.78161 -2.58469 -0.56071  0.07
H -4.81776 -2.07701 0.98262  0.03
C 2.43037 -4.36524 -5.26113  -0.24
S 1.40547 -4.12902 -3.82048  0.80
H 0.26754 -0.66563 -2.98748  0.09
H -5.04465 1.67378 -4.33453  0.04
H -4.35572 1.98016 3.54613  0.08
H 1.92768 -1.71374 5.84658  0.05
C -3.61862 -1.60049 -2.43452  -0.26
H 2.15129 -5.31891 -5.54587  0.03
H -0.03345 -2.68549 -4.98289  0.06
H -3.36386 -3.96575 3.78099  0.08
H 1.13682 4.98337 1.54207  0.03
C -6.93179 2.54438 -1.39335  -0.26
H 2.32228 2.24686 3.89664  0.06
H -3.67271 -6.61433 0.57764  0.06
H 0.32944 4.54312 -2.52754  0.04
N 0.63196 -0.66358 -0.89172  0.03
H -0.05709 -4.35681 -5.54236  0.04
C 2.54687 3.92723 -0.92460  -0.27
O -0.97431 -2.22775 -1.01751  -0.01
+++

(To do)
Next, type out the whole of the listing above verbatim.

(Completed)
Entry 1:
C34H94N4O15S11 | wB97M-V/def2-TZVPD

Computed properties:
Energy: -7079.1852 Eh
Gap between HOMO and LUMO: 8.73 eV
Charge: 0
Max |F|: 0.05998 Eh/bohr

Last column: Löwdin charge in e.
Element x y z (Å)
C -1.77250 2.39752 1.55191  -0.53
H -3.43949 -0.85470 -3.19361  0.03
H 4.21556 0.29589 3.46020  0.06
H -7.00813 3.58911 1.42686  0.05
C 2.57425 2.82183 3.00253  -0.24
S 2.20932 2.98168 -2.41283  0.79
H -6.28320 2.02516 1.30496  0.09
H -3.95170 5.44097 -5.01121  0.04
H -5.49433 -2.75117 4.35380  0.02
C -5.11355 -2.07133 5.05927  -0.24
O 3.88771 -3.09072 2.13207  -0.57
H -1.94317 -3.04098 3.50089  -0.04
H 1.63413 -2.48973 0.90157  0.09
H -4.44736 -2.21312 -2.84146  0.06
S -4.02738 -0.76381 -0.85989  0.82
H 1.75513 5.10251 -3.58603  0.09
C 4.31388 0.76239 2.46537  -0.27
O 3.40891 2.87427 -3.25356  -0.53
H 7.13850 3.84262 -2.26163  0.06
C 1.16834 4.22760 -3.16812  -0.26
H -0.85034 -4.49953 -0.92875  0.04
H 1.62141 3.20525 2.63751  0.03
C -1.44622 2.02265 0.15978  0.01
H -3.32214 -2.58290 0.13972  0.00
S -0.20560 -1.22494 4.89884  0.79
C -0.63945 6.26424 -0.67442  -0.57
H 1.72492 -0.05265 5.67027  0.07
O -0.83153 -1.20967 6.24976  -0.54
H 4.59284 -6.07024 -3.34801  0.05
H 2.36052 -3.60238 -6.03016  0.07
H -2.02692 2.66700 -0.51228  0.07
C 6.32001 -3.99498 1.84439  -0.28
H 4.95818 -0.07384 -2.22781  0.09
O 6.47030 2.25257 0.44117  0.01
H 1.13701 -0.09679 -0.20911  0.09
S -3.64483 -1.51670 4.19170  0.81
O -4.31787 2.74250 -0.89559  -0.56
C 6.87654 3.86049 -1.23876  0.01
H -4.61983 5.61846 -3.30655  0.03
H -6.86649 1.53874 -0.93126  0.04
H -3.43964 3.49671 3.30436  0.08
H 5.68370 -5.30228 4.32751  0.09
C -1.98935 5.90106 -1.17092  0.00
S 4.78066 -3.95023 -2.11433  0.76
O 0.17367 6.87898 -1.35111  0.03
C -6.10033 3.12596 1.09529  -0.26
H 6.22886 -5.00287 1.44980  0.05
H 4.68761 -0.02300 1.79298  0.05
H 1.68328 6.44073 0.75166  0.09
C 0.87681 6.01205 1.35187  -0.05
H -2.74991 2.06105 4.16753  0.07
H -0.35093 2.04961 -0.04674  0.08
H 1.98169 -1.00161 4.14735  0.05
O 1.75421 0.74317 1.55819  -0.55
S -5.81601 3.97450 -4.75845  0.80
H 7.30576 -3.83935 2.30926  0.06
C -0.07102 -1.68392 -0.39575  -0.54
H 3.90625 -4.94433 4.39282  0.04
H 3.92048 -4.41958 -0.05718  0.04
C -4.32446 -2.28549 0.03600  -0.25
H 0.40940 1.00996 -2.08938  0.03
H 5.98215 -0.16811 -0.77032  0.09
H 5.78365 2.01457 -2.59853  0.10
C 4.72999 -5.04382 3.70997  -0.29
O -1.24077 3.29632 2.18636  0.02
C -4.61560 2.65798 -4.36900  -0.25
H 0.74263 6.47814 2.33320  0.09
H -4.80849 -3.03636 -0.69001  0.09
H -0.39923 1.17787 5.04687  0.09
H 1.63844 4.02046 -0.28075  0.05
H 2.90548 4.93824 -1.23542  0.08
N -2.95208 1.91763 2.06727  0.04
H -0.95595 5.22797 1.02582  0.08
C 4.62568 -5.76527 -2.30098  -0.23
C 6.45054 2.50552 -0.77212  -0.57
H -5.43633 6.22316 -4.63487  0.05
H 5.42368 -6.27313 -1.73292  0.07
S 2.95273 1.64079 1.77346  0.81
H -0.07509 -3.01885 1.31395  0.05
H -2.27048 -3.28594 5.07992  0.05
H 3.40201 -4.34047 -4.75286  0.02
H -4.16719 2.86011 -3.40758  0.02
O -5.90689 4.06099 -6.22559  -0.55
H 4.60981 -5.87779 2.97564  0.07
S -5.60820 3.41467 -0.58675  0.79
C -4.76682 5.40071 -4.34308  -0.24
H -7.77883 3.16519 -1.20540  0.04
H -5.21518 3.44784 1.63508  0.02
H -5.00433 -2.58655 6.06413  0.09
H 0.68272 3.79807 -4.06383  0.05
O -5.36854 -0.12286 -0.91074  -0.56
H 3.78161 -2.58469 -0.56071  0.07
H -4.81776 -2.07701 0.98262  0.03
C 2.43037 -4.36524 -5.26113  -0.24
S 1.40547 -4.12902 -3.82048  0.80
H 0.26754 -0.66563 -2.98748  0.09
H -5.04465 1.67378 -4.33453  0.04
H -4.35572 1.98016 3.54613  0.08
H 1.92768 -1.71374 5.84658  0.05
C -3.61862 -1.60049 -2.43452  -0.26
H 2.15129 -5.31891 -5.54587  0.03
H -0.03345 -2.68549 -4.98289  0.06
H -3.36386 -3.96575 3.78099  0.08
H 1.13682 4.98337 1.54207  0.03
C -6.93179 2.54438 -1.39335  -0.26
H 2.32228 2.24686 3.89664  0.06
H -3.67271 -6.61433 0.57764  0.06
H 0.32944 4.54312 -2.52754  0.04
N 0.63196 -0.66358 -0.89172  0.03
H -0.05709 -4.35681 -5.54236  0.04
C 2.54687 3.92723 -0.92460  -0.27
O -0.97431 -2.22775 -1.01751  -0.01